-- Listing --
........
Density functional theory data (wB97M-V/def2-TZVPD) for a structure of composition C22H28AsN3OPPtS.

```
58
Properties=species:S:1:pos:R:3:forces:R:3:lowdin_charge:R:1
Pt 0.4597 0.7207 0.1575 0.24 -0.04 -0.02 0.89
N 0.5307 -9.4821 -0.6922 0.00 0.01 0.00 0.17
C 0.5340 -8.3344 -0.6511 0.00 -0.06 0.00 -0.17
C 0.5368 -6.8978 -0.5984 -0.01 0.02 0.01 -0.22
C 0.4499 -6.1626 -1.7777 0.00 0.03 0.01 0.00
C 0.4449 -4.7797 -1.7229 -0.02 -0.03 0.01 -0.01
C 0.5388 -4.1295 -0.4965 -0.02 -0.01 0.04 -0.20
C 0.6310 -4.8684 0.6790 0.04 -0.03 -0.02 0.00
C 0.6241 -6.2518 0.6320 0.00 0.03 -0.02 0.00
C 0.5459 -2.6440 -0.4374 0.04 0.01 -0.03 -0.04
C 1.7458 -2.0253 -0.1101 -0.24 0.02 -0.09 -0.24
C 3.0285 -2.6021 0.0485 0.03 -0.02 -0.08 0.01
C 3.9187 -1.5689 0.2356 0.03 0.02 -0.08 -0.05
C 3.1689 -0.3795 0.2000 -0.07 -0.05 0.01 -0.15
N 1.8810 -0.6482 -0.0148 -0.21 -0.02 0.85 -0.16
C -0.6487 -1.9782 -0.7271 0.05 0.12 -0.17 -0.24
C -1.9047 -2.5692 -1.0023 0.02 -0.08 0.08 0.00
C -2.8178 -1.5498 -1.1455 -0.06 0.07 0.03 -0.05
C -2.1015 -0.3565 -0.9579 0.07 -0.06 -0.09 -0.18
N -0.8077 -0.5940 -0.7402 0.04 0.09 -0.35 -0.12
H 0.3862 -6.6757 -2.7271 0.00 -0.01 0.00 0.13
H 0.3760 -4.2006 -2.6345 0.00 0.01 0.00 0.13
H 0.7014 -4.3580 1.6306 0.00 0.01 0.00 0.13
H 0.6870 -6.8332 1.5411 0.00 -0.01 0.00 0.13
H 3.2491 -3.6546 -0.0190 0.00 -0.01 0.00 0.12
H 4.9852 -1.6339 0.3670 0.01 -0.01 0.00 0.11
H 3.5080 0.6371 0.3185 0.00 0.00 0.09 0.10
H -2.0941 -3.6284 -1.0564 0.01 -0.01 -0.01 0.12
H -3.8720 -1.6316 -1.3489 -0.01 0.00 0.00 0.10
H -2.4797 0.6532 -0.9852 -0.06 -0.02 0.15 0.09
C 0.9516 4.5906 2.0901 -0.03 -0.03 0.05 -0.23
As 0.1637 3.0541 2.9342 -0.02 0.10 -0.07 0.72
C -1.7182 3.0435 2.5477 -0.01 0.01 0.02 -0.24
C 0.3182 3.3047 4.8306 0.04 -0.01 -0.02 -0.24
S 1.1255 1.2335 2.4176 0.43 0.19 -0.44 0.17
H 0.3769 5.4829 2.3357 0.00 0.00 0.00 0.05
H 0.9575 4.4163 1.0169 0.01 -0.02 0.02 0.01
H 1.9697 4.6894 2.4616 0.00 0.01 -0.04 0.05
H -2.1764 3.9481 2.9466 0.00 -0.01 0.01 0.05
H -2.1490 2.1635 3.0219 -0.02 0.02 0.00 0.05
H -1.8514 2.9879 1.4708 0.03 -0.02 0.02 0.00
H -0.1402 4.2515 5.1121 0.00 0.00 0.00 0.05
H 1.3727 3.3050 5.0983 -0.01 0.00 0.01 0.05
H -0.1849 2.4820 5.3344 0.01 0.00 0.00 0.05
C -2.5125 4.0544 -1.3895 0.05 -0.04 0.08 -0.16
P -0.9066 3.2937 -1.6519 0.16 -0.07 -0.18 0.58
C 0.1992 4.5713 -2.2532 -0.06 0.02 0.04 -0.16
C -1.0819 2.1184 -2.9933 0.14 0.04 -0.03 -0.16
O -0.3556 2.6951 -0.3672 -0.60 -0.26 0.31 -0.56
H -2.8876 4.4962 -2.3123 0.01 0.00 -0.02 0.07
H -2.4260 4.8338 -0.6318 0.00 0.00 0.00 0.06
H -3.2231 3.3040 -1.0406 0.00 -0.01 -0.01 0.06
H -0.2109 5.0433 -3.1463 0.00 0.01 0.00 0.07
H 1.1637 4.1255 -2.4958 0.00 -0.02 0.01 0.07
H 0.3439 5.3282 -1.4824 -0.01 0.02 0.00 0.06
H -1.5183 2.6026 -3.8670 0.02 0.06 0.00 0.07
H -1.7070 1.2825 -2.6983 -0.04 0.00 -0.06 0.02
H -0.0986 1.7249 -3.2536 0.02 0.01 0.01 0.07
```
Positions in Å, forces in eV/Å.

Values from the calculation:
- M (g/mol) = 683.53
- energy relative to the best compared isomer or geometry (same formula, charge and spin) (eV) = 0.0000
- HOMO-LUMO gap (eV) = 6.99
- HOMO level (hartree) = -0.38108
- LUMO level (eV) = -3.4
- charge = +1
- DFT total energy (eV) = -113991.2674


Density functional theory data (wB97M-V/def2-TZVPD) for a cluster of 2 separate species, C2H3ClS in total in a non-equilibrium geometry.

```
7
Properties=species:S:1:pos:R:3:forces:R:3:lowdin_charge:R:1
C -0.0071 -0.7446 0.0776 0.12 1.05 1.48 -0.51
C 0.2898 0.5536 -0.6079 -1.70 -1.97 3.31 -1.02
S 1.3890 0.0493 0.7641 -0.33 0.07 -0.23 0.77
Cl -0.9286 1.7952 -0.4591 0.46 0.21 -0.25 0.57
H -1.4080 -0.2643 1.8116 0.42 -0.38 -0.94 0.13
H -0.1379 -1.8077 -0.1187 -0.04 0.52 -0.30 0.05
H 0.8028 0.4184 -1.4676 1.07 0.49 -3.06 0.01
```
Positions in Å, forces in eV/Å.

Values from the calculation:
- M (g/mol) = 94.57
- energy relative to the best compared isomer or geometry (same formula, charge and spin) (eV) = 4.6775
- HOMO-LUMO gap (spin up / spin down) (eV) = 8.10 / 8.89
........

-- Assignment --
Say how many lines of the lines further up hold the word "C2H3ClS", as a bare number, please.

-- Worked solution --
1